"The world is full of mysteries. When we solve a certain mystery, that's all we know, and we can be smart, empowered, and more fun. It's also convenient. But the unraveled parts of the world are still limitless, aren't they? I got an infinite amount of time to figure it all out, and I've been following it with history, and I'm going to keep following it. Once you've solved all the mysteries of the Earth, go to space next. Once we've solved all the mysteries of the universe, we'll go to the afterlife. Once you know everything about the world, now go to Parallel World. I don't know how far I can go, but I'm going to try to get to where I can. '

The girl, once loved wholeheartedly by Rainshore Lily, said so with pleasure, glowing her crimson eyes.

It was her purpose to evolve all humans. Get supernormal powers. But okay, super strengthen the flesh. The girl, who speaks plainly for the purpose of Changing the World, was so beautiful and brilliant. I can still easily recall the impact of that time if I meditate on my eyes.

"Even the Japanese Air Force's failure to crusade the Leviathan, a monster threatening the coast of Japan, would have proven the power of the Grim Penis? What do you suspect? A number of endorsers are already recruiting under me. Yet there are still some supernatural capable people in the world, as well as extrahuman intelligent life forms. You won't be late. '

Lily gets frustrated when she sees a guy who has been snuggling around on TV shows for the past few days and giving away videos online as well.

For once, Lily and I are only allied against Junko, but I am angry nonetheless. No matter how you look at it, this man, ahead of Junko, is practicing Change the World. Moreover, it is a tremendous arrogance, such as declaring all the paranormal realms to the whole world when you manage them. Either way, the anger of lilies boils.

"Woohoo... I want to go to the movies..."

Ye Shan, who was also coming to visit the Rain Shore Mansion today, groaned pompously. He doesn't seem to be interested in Van Damme on TV or anything like that, he's on a holographic display, browsing the internet. In the same room are Platinum Taro, Mutsuki and Akiko.

"Why don't you go?"

Platinum Taro says as he puts the teacup in front of Ip Mountain and pours the tea. He has a glance at Ip Mountain, so he treats it with respect.

"No, you can't. Something like me... a maggot like me can't watch a movie in a movie theater. You shouldn't do that. It suits me to gobble up at home and kill my time for no reason... because I'm a maggot..."

Ye Shan complains of anguish and self-infliction with a sad voice.

"Aha, you're too negative. Just go to the cinema, who's in trouble? Ye Shan downplayed himself and narrowed the world... It's Ye Shan himself who's finally maggotting Ye Shan."

"Ugh... that's often said too"

When Mutsuki pointed out in a calm voice, Ye Mountain held his head with a crying face.

"Changing yourself can be difficult enough to change the world. No, I can't even call it synonymous."

Four other people indoors pay attention to the lily dialogue.

These data records were left in the article by mistake >
<<<
Cd3IrI, optimized geometry, DFT PBE; spin magnetization = 0.00 μB/f.u.; theoretical density = 7.4 g/cm3
1.0
5.286 0.000 0.000
0.000 5.286 0.000
0.000 0.000 5.286
Cd Ir I
3 1 1
Direct
0.000 0.000 0.500
0.000 0.500 0.000
0.500 0.000 0.000
0.000 0.000 0.000
0.500 0.500 0.500



CdIrI3, optimized geometry, DFT PBE; spin magnetization = 0.00 μB/f.u.; theoretical density = 7.0 g/cm3
1.0
5.454 0.000 0.000
0.000 5.454 0.000
0.000 0.000 5.454
Cd Ir I
1 1 3
Direct
0.000 0.000 0.000
0.500 0.500 0.500
0.000 0.500 0.500
0.500 0.000 0.500
0.500 0.500 0.000



CdIrI2, optimized geometry, DFT PBE; spin magnetization = 1.47 μB/f.u.; theoretical density = 9.3 g/cm3
1.0
0.000 3.683 3.683
3.683 0.000 3.683
3.683 3.683 0.000
Cd Ir I
1 1 2
Direct
0.000 0.000 0.000
0.500 0.500 0.500
0.250 0.250 0.250
0.750 0.750 0.750



no.,energy above the most stable polymorph in this dataset (eV/atom),electronic total energy (eV per atom),N(E_F) (states/eV/cell)
1,0.000,-2.381,2.7
2,0.000,-2.596,3.3
3,0.441,-2.303,3.6


The following is a PBE calculation of crystalline Rb2Na5Ge4 at its relaxed geometry, from the Alexandria database.

## Properties
As for the energy relative to the elements: -48 meV per atom. For the total energy, the calculation gives -0.0920 hartree per atom. The calculation puts the magnetization at 0.00 μB/cell.

a = 14.0976 Å, b = 6.9490 Å, c = 9.4195 Å
α = 90.00°, β = 122.08°, γ = 90.00°
With the nearest neighbours (Å) after each atom.
Space group C2/m (No. 12)
Unique sites:
Rb: 0.2398 0.0000 0.1170 (multiplicity 4)  4 Ge 3.66-3.95
Na: 0.0000 0.5000 0.0000 (multiplicity 2)  2 Ge 2.86
Na: 0.1140 0.2423 0.4040 (multiplicity 8)  4 Ge 2.98-3.17, 1 Na 3.26
Ge: 0.0793 0.0000 0.6579 (multiplicity 4)  2 Ge 2.44-2.60
Ge: 0.2277 0.5000 0.2748 (multiplicity 4)  1 Ge 2.44


[1]
## Al2CrOs (GGA-PBE)

Data for a relaxed structure of Al2CrOs.

Cell lengths 3.054, 4.175, 8.636 Å; angles 90.00, 90.00, 90.00 degrees
Space group Imm2 (No. 44)
One atom of each set of equivalent atoms:
Al 0.000 0.000 0.000 x2
Al 0.000 0.500 0.229 x2
Cr 0.000 0.500 0.746 x2
Os 0.000 0.000 0.480 x2

Energy above the most stable polymorph in this dataset, meV per atom: 123
Calculated total energy, eV per atom: -7.293
Calculated formation energy, eV per formula unit: -0.8

=====

[2]
## AlCrOs2 (GGA-PBE)

Data for a relaxed structure of AlCrOs2.

Cell lengths 2.920, 4.470, 8.382 Å; angles 90.00, 90.00, 90.00 degrees
Space group Immm (No. 71)
One atom of each set of equivalent atoms:
Al 0.000 0.000 0.000 x2
Cr 0.000 0.000 0.500 x2
Os 0.000 0.500 0.252 x4

Calculated total energy, eV per atom: -8.951
Calculated formation energy, eV per formula unit: 0.0

=====

[3]
## Al2CrOs (GGA-PBE)

Data for a relaxed structure of Al2CrOs.

Cell lengths 2.7573, 2.7573, 25.4202 Å; angles 90.00, 90.00, 120.00 degrees
Space group R-3m (No. 166, hexagonal axes)
One atom of each set of equivalent atoms:
Al 0.0000 0.0000 0.2492 x6
Cr 0.0000 0.0000 0.5000 x3
Os 0.0000 0.0000 0.0000 x3
>>>

"Platinum Taro, Mutsuki, Akiko. At least three of you know that, right? You've experienced the moment when the world changed, haven't you?

"I know, but I can't resist Mom telling me again..."

Akiko becomes a complex face.

"Ye Shan, instead of knowing it, refuses. It's pathetic and lamentable."

"Aha, are you chasing me?

"In other words, the interpretation is a recognisal of maggots..."

Yuzuki, who sounds strange, and Ip Mountain, who sneers at me.

"It's not like that. Isn't it interesting to try and help open up the world of Ip Mountain? No, it must be fun."

"Dear boulder lily, as merciful as bodhisattva"

I just want to compliment Taro Platinum on his suggestion that he's here.

"No... this is for me... no... I can't believe I volunteered for maggots..."

I could see Leaf Mountain looking somewhere happy, shaking his upper body with a twist.

"Mommy and the rest of us. It's a story flow, but what exactly do we do?

The piece is interrupted by records of crystals =
+++
Record 1
A plane-wave DFT calculation with PBEsol was carried out for CsLiPt2 after structural relaxation.

Formation enthalpy at 0 K: 636 meV per atom
E: -3.57 eV/atom

Unit cell a=4.8308 b=4.8308 c=4.8308 alpha=60.00 beta=60.00 gamma=60.00
Positions (direct):
Li 0.0000 0.0000 0.0000
Pt 0.2500 0.2500 0.2500
Pt 0.7500 0.7500 0.7500
Cs 0.5000 0.5000 0.5000

---

Record 2
A plane-wave DFT calculation with PBEsol was carried out for SrCaNiWO6 after structural relaxation.

Uncorrected formation energy: -2.3250 eV/atom
E: -7.87 eV/atom

Unit cell a=5.4633 b=5.5263 c=7.7238 alpha=90.00 beta=90.08 gamma=90.00
Positions (direct):
W 0.5000 0.2511 0.9993
O 0.0578 0.7698 0.7440
O 0.4178 0.2625 0.7565
Ca 0.4900 0.7967 0.2529
O 0.2848 0.5495 0.4595
Ni 0.9998 0.7474 0.0003
O 0.9178 0.7375 0.2565
Sr 0.0047 0.2778 0.2495
O 0.7848 0.4505 0.9595
O 0.3036 0.5346 0.0420
Ni 0.4998 0.2526 0.5003
O 0.7146 0.9779 0.9660
W 0.0000 0.7489 0.4993
Sr 0.5047 0.7222 0.7495
O 0.2146 0.0221 0.4660
Ca 0.9900 0.2033 0.7529
O 0.7269 0.9650 0.5300
O 0.5578 0.2302 0.2440
O 0.8036 0.4654 0.5420
O 0.2269 0.0350 0.0300

---

Record 3
A plane-wave DFT calculation with PBEsol was carried out for Fe3RhC after structural relaxation.

Formation enthalpy at 0 K: 109 meV per atom
E: -8.83 eV/atom

Unit cell a=3.7510 b=3.7510 c=3.7510 alpha=90.00 beta=90.00 gamma=90.00
Positions (direct):
C 0.0000 0.0000 0.0000
Rh 0.5000 0.5000 0.5000
Fe 0.0000 0.0000 0.5000
Fe 0.5000 0.0000 0.0000
Fe 0.0000 0.5000 0.0000
+++


The look on Lily's face changed when I said it.

Ip Mountain also stops twisting and sends a sharp gaze out the window.

A little later from Lily and Ip Mountain, Mutual Moon, but a little later from Mutual Moon, Platinum Taro and Akiko also sensed with their skin the presence of an intruder that emitted heterogeneous killings.

The person appeared outside the living room window, walking gently through the garden, dignified into the grounds of the lily mansion and with his hands stuck in his trouser pockets.

He was a short-haired little man dressed as a blurry hoodie and jersey trousers. She is also thin. I think my age is in my early twenties. He was a badly cat-backed, uncharacteristically faceless man, but his eyes are unusually sharp. And the killing spirit that gets released is also sharp.

"The strong wind blowing over the weekend and the same room being friendly with Arlaune is a very unusual sight. If you're Arlaune, you're dull enough to make a copy... Strong winds blowing over the weekend, or slightly odd wavelengths, this one is also weak"

A man opens his mouth when he alternates with Hatsumomo Ip.

"I stopped."

When a man utters a word, his killing spirit disappears.

"Something seems to be going on. Even if it's a strong wind blowing over the weekend in the first place, it's from this star. I guess I'll take them both."

When the man put his hand out of his pocket, something like black tar overflowed out of his pocket. Not only from the pockets, but also from the hoodie's cuffs, which at first glance appear to be without a tip from the wrist.

The amount of liquid like black tar increases and eventually you can have two black tar accumulations. And when the tar-shaped thing stops to overflow from the cuffs and pockets, a black stained hand appears from the cuffs, and the two tar buildups flourish, and the shadow magician in a sloppy shape materializes.

"Hey, don't remind me of Devil."

Seeing the materialized Influence Master, Mutsuki shrugs.

"Platinum Taro, if they don't break the window, open the window and deal with them in the garden. And to that extent, can't you do it without being told? Need punishment later?

"Ha, ha, sorry"

Lily tells me that Platinum Taro hastily opens the window and leaps out into the garden.

"Hayama's hunch, you seem to have hit it."

Lily squeaks as she looks out the window.

"It's like I'm destined to be targeted by someone. The reason is different every time though. Haha."

Mutsuki also went out to the garden laughing. Ye Shan and Akiko also pull out their guns and firecoats, respectively, and go out into the garden.

"Looks like I'm being targeted this time, too, Harumi. Let's hang out together."

"Haha, why is that where the gnats come from? Come on."

"So, it's no different that I'm always in a position to help."

Ye Shan, Mutsuki and Akiko say each. It's the usual position of these four, with Akiko and Platinum Taro at the forefront, Ip Mountain at the rear with guns, and Mutsuki at the middle guard.

"Hmmm...... very naturally show the stage of engagement? Do you also possess extraordinary powers? You can take me home now."

When Parker's man says, two sloppy influencers head for Akiko and Platinum Taro, respectively.

"Platinum clay lilou!

Platinum Taro drills ahead from the elbow of his right arm and protrudes vigorously toward the Impact Master.

The upper body of the Impact Master could play along with the feeling as if he had played water.

(What? This response...)

To the surprise of Kitaro Shirakashi, the shadow of the bounce descends into a black liquid.


The spot where the liquid adhered was attacked by severe burning pain, and Platinum Taro screamed around.

But the pain quickly subsided. The black liquid came back and replicated the Impact Master. When the liquid left the body, the pain disappeared.

Another influential magician strikes at Akiko, who was looking sideways at Taro Platinum.

(Returning blood? You mean you have to knock him out so he doesn't bathe? But...... that's hard)

With a knife in one hand, Akiko avoids it thoroughly. I decided to let Mutsuki and the others attack me thoroughly without attacking me.

Mutsuki releases a sparrow to the influential magician that Akiko is attracting. To the Influence Master in front of Platinum Taro, Ip Mountain shoots the gun.

A sparrow easily breaks through the body of the shadow magician. But it doesn't penetrate as it is, and the momentum of the sparrow stops. Mutsuki tried to detect a sparrow anomaly and put it back on his hands, but it was too late.


Mutsuki was so convinced. Even if you're away from hand, I know how Family Fresh is. It's a pseudo life, it has no soul, it's just a story to rebuild, but it's still sad and angry to be killed.

The Impact Master, who was shot by Ye Shan, hits for a moment by impact, but that was all. Afterwards, continue to attack Akiko until then.

"Watch out, everybody! After being touched and awhile, they erode!

Happy Moon warns aloud.

"That warning was something Platinum Taro should have done first. You need to punish me later."

Lily, who was watching the battle through the window in the house, whines in a sigh, gracefully carries the teacup to her mouth.

"It's not as erosive as it sounds in an instant. I don't mind if I hit him with one shot. But it doesn't taste good if you keep touching it."

Said Platinum Taro, avoiding the impacting magician coming around.

"Taro Platinum, please be thorough with the hit-and-away. Mutsuki is a form of attack aimed at when you avoid Taro Platinum. You and I need to work together."

"I know the point!

"Aha, Roger that. It's not uncommon for Mr. Ip Shan to give instructions."

Upon instructions from Ip Mountain, Platinum Taro replied with a temperamental voice, and Mutsuki smiled strangely.

Mutsuki, as he was told, attacks with a blade spider and a noon whip for the moment when Platinum Taro leaves the Impact Master. It's a combination of Kitaro Shiraki attacking with a drill when Mutsuki's attack is over.

"Hey Ip Yama-san... my backup isn't too good."

Akiko raises a voice of protest as the Impact Master attacks.

Ye Shan did not answer, shooting the gun. Aim for the little guy with the short hair hoodie, not the shadow magician.

A bullet hits the center of the chest. But the clothes just seeped black with black liquid, and the little man sits flat with a thin grin.

"Hmm. So how about maggots bullets?

Leaf Mountain that turns into a bullet with a solution and shoots.

It hits my chest again. Now the little man's complexion changed. The proteolysis of the meat solution seems to have been damaged, clearly becoming a distressed phase.

The Influence Master's movement also stops. Looks like the little man's control stopped working.

"He seemed chronic...... Not that this body is immortal."

As the little man held down his chest and groaned bitterly, the shadow magician crumbled and changed like a black hedron, moving to the little man's feet so that he could be sucked into the man's feet and disappeared.

"Interesting people. Next thing you know, we'll be ready before we come."

"No, you don't have to come"

Akiko blatantly tells the man who leaves behind the discarding dialogue and rushes off.


A little man screamed while he was on the run. Two shots were fired in the back, and Ip Mountain shot a warhead with a solution.

The man's leg stopped for a moment, but he runs straight away and escapes.


"Maggots tracking ~"

Platinum Taro and Ip Mountain chase him, but the little man escapes on a motorcycle that was parked in front of the mansion.

Ye Shan tried to stop him by shooting a gun, but there were passers-by nearby, so I stopped. A fallen motorcycle could blow up and hit passers-by.

"Maggots get away with it. What was it..."

┌──
A plane-wave DFT calculation with GGA-PBE was carried out for a relaxed YCd2IrRu crystal.

Unit cell a=5.120 b=5.120 c=5.149 alpha=90.00 beta=90.00 gamma=90.00
Atoms (fractional coordinates):
Y 0.000 0.000 0.000
Cd 0.000 0.500 0.500
Cd 0.500 0.000 0.500
Ir 0.000 0.000 0.500
Ru 0.500 0.500 0.000

The value obtained for the formation energy is 70 kJ per mole of atoms. The density of states at the Fermi level comes out at 1.5486 states/eV/atom. For the energy, the calculation gives -4.5563 eV/atom.

* * * * *

(1)
# PBE-GGA Ce2Dy2Tl5, optimized geometry
# Magnetic moment, μB per formula unit: 2.218
data_Ce2Dy2Tl5
_cell_length_a 9.086
_cell_length_b 6.264
_cell_length_c 10.788
_cell_angle_alpha 106.88
_cell_angle_beta 114.91
_cell_angle_gamma 90.00
_space_group_name_H-M_alt 'P 1'
_space_group_IT_number 1
_space_group_name_Hall 'P 1'
loop_
_atom_site_label
_atom_site_fract_x
_atom_site_fract_y
_atom_site_fract_z
Tl1 0.838 0.930 0.175
Tl2 0.701 0.344 0.500
Tl3 0.537 0.759 0.330
Tl4 0.463 0.429 0.670
Tl5 0.162 0.755 0.825
Tl6 0.837 0.430 0.175
Tl7 0.299 0.844 0.500
Tl8 0.707 0.929 0.670
Tl9 0.293 0.259 0.330
Tl10 0.163 0.255 0.825
Ce1 0.061 0.341 0.500
Ce2 0.500 0.593 0.000
Ce3 0.939 0.841 0.500
Ce4 0.000 0.093 0.000
Dy1 0.497 0.013 0.841
Dy2 0.156 0.672 0.159
Dy3 0.503 0.172 0.159
Dy4 0.844 0.513 0.841

---

(2)
# PBE-GGA Ce2Dy2Tl3, optimized geometry
# Excess energy over the best structure of this formula in the dataset, kJ/mol of formula units: 0
# Magnetic moment, μB per formula unit: 1.457
data_Ce2Dy2Tl3
_cell_length_a 4.367
_cell_length_b 3.512
_cell_length_c 12.586
_cell_angle_alpha 90.00
_cell_angle_beta 80.01
_cell_angle_gamma 90.00
_space_group_name_H-M_alt 'P 1'
_space_group_IT_number 1
_space_group_name_Hall 'P 1'
loop_
_atom_site_label
_atom_site_fract_x
_atom_site_fract_y
_atom_site_fract_z
Ce1 0.715 0.500 0.570
Ce2 0.285 0.500 0.430
Tl1 0.000 0.000 0.000
└──
The page goes on:

"He got away on a motorcycle."

Ip Mountain and Platinum Taro reporting through the gates of the mansion.

"Even now, Mr. Ip Shan, only Mutsuki is abandoned."

"I don't like your manipulation or your manipulation, because Mutsuki said so. Ugh."

Pointed out by Platinum Taro, Ip Mountain answered with his hips twisted for some reason.